Formulation of the State indicators and action plans by respective Departments (12th June, 2018)
Preparation of draft SDG Report titled "Towards Building Capacities, Enhancing Freedom, and
accelerating Development: Meghalaya Vision 2030“ (Ongoing)
• Improve range of schemes for enhancing poverty alleviation, including access to social assistance services, financial services and skill
**Calculated molecules from another source follow:**
/*
(1)
# C43H45F6FeOP3Si

A molecular structure, C43H45F6FeOP3Si (ωB97M-V with the def2-TZVPD basis set, the OMol25 dataset).

Values from the calculation:
**Relative energy (zero: lowest compared OMol25 entry of this formula, charge and spin)**: 15.6 kcal per mole
**Charge**: +2
**LUMO energy (spin up / spin down)**: -8.388 / -7.837 eV
**Gap between HOMO and LUMO (spin up / spin down)**: 5.3083 / 5.9026 eV
**2S+1**: 5

Structure (XYZ):
```
100
C43H45F6FeOP3Si ωB97M-V with the def2-TZVPD basis set
Fe -3.245 -20.395 -2.022
C -5.542 -19.651 1.352
C -5.167 -21.078 0.951
P -3.531 -21.536 1.479
C -2.308 -22.072 0.314
C -0.977 -21.977 0.689
C -0.003 -22.386 -0.153
C -0.307 -22.948 -1.399
C -1.646 -23.221 -1.723
C -2.649 -22.734 -0.842
C -3.385 -22.337 3.034
C -2.358 -23.310 3.260
C -2.398 -24.078 4.418
C -3.373 -23.765 5.436
C -4.318 -22.715 5.233
C -4.265 -22.016 4.058
C -5.398 -18.742 0.135
P -3.638 -18.594 -0.608
C -4.010 -17.285 -1.871
C -3.064 -16.285 -2.108
C -3.277 -15.345 -3.128
C -4.446 -15.398 -3.891
C -5.402 -16.416 -3.647
C -5.112 -17.415 -2.716
C -2.417 -18.045 0.646
C -2.938 -17.674 1.904
C -2.027 -17.402 2.883
C -0.694 -17.537 2.680
C -0.130 -17.871 1.433
C -1.036 -18.192 0.358
H -4.978 -19.280 2.137
H -6.634 -19.703 1.546
H -5.139 -21.131 -0.136
H -5.835 -21.930 1.234
H -0.782 -21.497 1.635
H 1.073 -22.322 0.107
H 0.426 -23.177 -2.166
H -2.056 -23.686 -2.590
H -3.655 -22.929 -1.037
H -1.612 -23.555 2.514
H -1.727 -24.901 4.604
H -3.263 -24.331 6.381
H -5.158 -22.509 6.010
H -5.016 -21.216 3.904
H -5.799 -17.756 0.280
H -5.946 -19.118 -0.708
H -2.111 -16.215 -1.515
H -2.536 -14.594 -3.331
H -4.769 -14.627 -4.558
H -6.368 -16.399 -4.124
H -5.984 -18.035 -2.640
H -4.014 -17.508 2.073
H -2.445 -17.067 3.829
H 0.001 -17.374 3.491
H 0.953 -17.947 1.287
H -0.744 -18.537 -0.609
F -1.669 -19.667 -2.130
P -0.435 -18.342 -4.223
F 0.189 -17.807 -5.542
F -0.064 -17.143 -3.261
F 0.592 -19.189 -3.519
F -1.948 -17.888 -4.159
F -0.996 -19.634 -4.958
C -6.420 -20.626 -5.411
C -7.164 -21.374 -4.258
C -8.024 -22.525 -4.841
C -8.244 -20.361 -3.716
Si -5.880 -22.078 -3.044
O -5.013 -20.845 -2.340
C -4.618 -23.119 -3.957
C -4.558 -24.533 -4.110
C -3.506 -25.055 -4.848
C -2.535 -24.265 -5.391
C -2.689 -22.897 -5.423
C -3.772 -22.337 -4.742
C -6.580 -23.087 -1.561
C -5.828 -24.113 -1.024
C -6.148 -24.560 0.265
C -7.200 -24.096 0.997
C -7.959 -23.015 0.515
C -7.627 -22.536 -0.751
H -7.174 -20.220 -6.131
H -5.846 -21.297 -6.032
H -5.825 -19.814 -5.044
H -8.807 -22.143 -5.502
H -8.547 -23.058 -4.042
H -7.452 -23.251 -5.417
H -8.696 -19.751 -4.533
H -7.854 -19.675 -2.956
H -9.022 -20.973 -3.232
H -5.318 -25.118 -3.709
H -3.529 -26.208 -4.961
H -1.612 -24.715 -5.778
H -1.983 -22.249 -5.961
H -3.888 -21.309 -4.745
H -5.036 -24.625 -1.567
H -5.639 -25.309 0.762
H -7.520 -24.480 1.938
H -8.772 -22.557 1.048
H -8.305 -21.810 -1.231
```

(2)
# C43H45I2NO12P
*/
**The calculated molecules stop here:**
development, while enhancing community participation in development programme
• Increase crop production through improved integrated farming systems, knowledge backstopping, irrigation and farm mechanization,
implementation of Supplementary Nutrition Programme supported by strong monitoring and follow-up systems
• Implementation of the 4th phase of the Megha Health Insurance Schemes and increasing integrated Antenatal Care coverage and First
Referral Units for, improving medical facilities and personnel for rural areas
Implementation of non-formal preschool education, increasing scholarships for enrolment into higher education, enrolment of women
candidates in government Industrial Training Institutes and short term courses, and increasing no. of learning institutions across the state
Public sensitization gender issues, establishment of One Stop Centre Schemes and Women Helpline across all districts, skill
development and enhance access to financial services for women, and Opening of Gender Budget Cell in Social Welfare Department
Repair, Renovation and Restoration schemes to enhance the storage capacity of water bodies; Promotion of rain water harvesting for water
stressed highland areas; Augmentation of field delivery system through central schemes like CAD & WM, construction of sanitation
Leveraging central schemes and funding from multi-lateral agencies to improve power infrastructure in rural areas and increase adoption of
renewable energy, implementation of differential tariff to offer affordable energy and attract investments into sector
Skill development and sector specific training for women and youth across the state and developing support mechanisms for industry and
corporate tie-ups, development of supply chain and market linkage, establishment of a Start-up Cell
SEZ in Shillong for farming of herbal, aromatic and ginger varieties, leading to production of drugs and aromatic products for export,,
enhancement of connectivity through new roads and bridges, establishment of multi-sector industrial parks by private sector on PPP mode,
promotion of innovation, technology development and dissemination of knowledge through new and existing Regional Centres of Excellence,
focus on projects with large coverage and limited time consumption in agricultural, community development and other sectors.
Improved access to housing schemes with robust follow-up mechanism to gauge coverage, creation of green parks for senior citizens under
AMRUT Mission, increase coverage of the Master Plan
• Carbon footprint study of the entire state conducted to establish the baseline for future actions, State Action Plan on Climate Change
(SAPCC) formulated and the State Council on Climate Change and Sustainable Development established;
• Launching of IEC based campaigns to enhance public awareness to encourage the use of local sustainable products and services that
generate local employment and benefits; launch of three green campaigns by the Hon’ble Chief Minister - 3R (Reduce, Reuse, Recycle),
One Citizen One Tree, and Education curriculum for Nature
• Establishing of 40 numbers of community based mini-compost plan covering a population of 8 Lakhs communities, Initiating rigorous
segregation of waste at household levels in urban areas with a coverage of 70% households, Implementation of World Bank funded
community led landscape management project; Development of eco-tourism sector and skilling of local youth in eco-tourism
• Meghalaya Climate Change Centre (MCCC) has been established under the National Mission for Sustaining the Himalayan Ecosystem
(NMSHE), Department of Science and Technology, Government of India; MCCC is also engaged in conducting training and awareness on
climate change for various stakeholders
• Rejuvenation and climate proofing of spring-sheds for livelihood, water and food security in Meghalaya under National Adaptation Fund
for Climate Change (NAFCC)
Broad Strategies
• Reduction of number of intentional homicide per 100,000 population through awareness campaigns and counseling programs.
• Installation of CCTVs at all the District Jails to monitor and track the activities at several points.
• Construction of Central Jail at Shillong and District Jails in all the newly carved districts for effective and smooth functioning
• Construction of a Training Institute for Prisons Officers. Instructors for various field would be appointed to impart training to the
• Enhancing the disposal of 50% pending cases in all the Districts through existing Child Welfare Committees by organizing Special
Drive Hearing.
• Setting up of women police stations and special units in all Districts to combat crime against women and children.
• Establishing monitoring system to ensure and evaluate the services provided by CCIs/Childline.
• Installation of E-Prisons Software in all the District Jails to ensure transparency and accountability in the system.
• Combating all forms of organized crime through robust ICT system, strengthening the available resources, legal system, etc.
• Enhancing robust ICT system to ensure accountability and transparency at all levels.
• Ensuring 80% involvement of Community Beneficiaries in Social audit for assessing the schemes and projects.
• Tracking and Monitoring the percentage of responded RTI queries and ensuring transparency through ICT modules/systems.
• Implementation of the Meghalaya Community Participation & Public Services Social Audit Act, 2017
Records of molecules, kept here for reference =
********
1.
********
Back to the piece =
• Evidence-based policy making through social audits: The NSAP pension beneficiaries are given parity along with the beneficiaries
of CM’s Social Assistance Programme. Over 57,000 people benefited under this scheme
• 1917-iTEAM project - a disruptive innovation project for connecting farmers with markets, logistics and extension
• Establishing of single window public interface agency – EFCs
• SRS (Systematic Review System) - District level Comprehensive Review Meetings by Cabinet Ministers
• Establishing of Meghalaya Climate Change Centre
• Bottom 20 approach under MGNREGA for inclusive development and for creating sustainable livelihoods assets.
• Meghalaya State Aquaculture Mission (MSAM)
• Apiculture Mission
• Last-mile Connectivity through plastic cell technology (under Megha Lamp)
• Field Level Leadership Development Initiative (FiLDI)
• Agri-Horti Missions (Lakadiong, Jackfruit, Mushroom and Seed Missions)
• Spring-shed rejuvenation – INRM
• Mission Organic